Excerpt:
-- begin --
Density functional theory data (PBE-GGA) for a relaxed structure of Ba2LiNpO5.

The structure in extended XYZ format:
```
18
Lattice="3.577 0.000 0.000 -1.789 7.528 0.000 0.000 0.000 11.312" Properties=species:S:1:pos:R:3 pbc="T T T"
O 1.789 2.437 5.730
O 0.000 5.091 0.074
O 1.789 6.439 5.932
O 1.789 3.209 1.609
O 0.000 4.607 4.464
O 0.000 1.089 0.275
O 1.789 2.921 10.120
O 1.789 0.011 8.920
O 0.000 4.320 7.265
O 0.000 7.517 3.264
Np 0.000 3.078 0.201
Np 1.789 4.450 5.857
Li 1.789 0.840 10.636
Li 0.000 6.688 4.979
Ba 0.000 1.848 3.559
Ba 0.000 1.578 7.864
Ba 1.789 5.951 2.208
Ba 1.789 5.680 9.215
```

Properties
uncorrected energy	-7.51	eV/atom
spin magnetization	4.0	μB per cell
formation energy without anion corrections	-2.68	eV per atom
ρ	6.525	g/cm3

----------

No. 1
Here is a relaxed structure of InIF6 from the Alexandria database. Energies are from PBE-GGA.

Results
Raw formation energy ... -14.567 eV/f.u.

```
InIF6
1.0
5.057 -0.061 0.262
2.479 4.720 -0.386
2.771 1.025 5.789
F In I
6 1 1
Cartesian
4.305 1.834 1.227
1.573 0.304 1.138
6.690 3.520 1.628
8.733 5.380 4.527
3.616 2.164 4.037
6.001 3.850 4.437
0.000 0.000 0.000
5.153 2.842 2.832
```

---

No. 2
Here is a relaxed structure of Mn2SiAu2 from the Alexandria database. Energies are from PBE-GGA.

Results
Raw formation energy ... 2.256 eV/f.u.
Relative energy among the computed polymorphs ... 1.39 eV/f.u.

```
Mn2SiAu2
1.0
3.726 0.000 0.000
0.000 3.726 0.000
1.863 1.863 6.783
Mn Au Si
2 2 1
Cartesian
1.863 1.863 1.287
3.726 3.726 5.496
1.863 3.726 3.392
3.726 1.863 3.392
0.000 0.000 0.000
```

---

No. 3
Here is a relaxed structure of Y2Ga3SnPt4 from the Alexandria database. Energies are from PBE-GGA.

Results
Formation enthalpy at 0 K ... -0.922 eV per atom

```
Y2Ga3SnPt4
1.0
4.141 0.000 0.000
0.000 4.141 0.000
0.000 0.000 11.303
Pt Y Sn Ga
4 2 1 3
Cartesian
0.000 2.070 3.923
2.070 0.000 7.381
0.000 0.000 0.000
2.070 2.070 0.000
2.070 0.000 2.754
0.000 2.070 8.549
2.070 2.070 5.652
0.000 0.000 5.652
0.000 2.070 1.480
2.070 0.000 9.823
```

---

No. 4
Here is a relaxed structure of CuSeBr2 from the Alexandria database. Energies are from PBE-GGA.

Results
Raw formation energy ... -0.535 eV/f.u.
Relative energy among the computed polymorphs ... 0.13 eV/f.u.

```
CuSeBr2
1.0
-1.855 -7.374 -3.127
2.323 -4.187 -6.684
1.174 3.974 7.101
Br Cu Se
2 1 1
Cartesian
-0.275 -3.330 0.604
0.422 -10.429 -8.850
0.249 -6.161 -5.228
1.947 -5.009 -3.952
```

---

| no. | DOS(E_F) (states/eV per cell) |
| --- | --- |
| 1 | 0.00 |
| 2 | 3.65 |
| 3 | 4.34 |
| 4 | 2.55 |

----------

[1]
# TmThSc4

A geometry-optimized TmThSc4 structure (PBE, the Alexandria database).

Summary:
- Formation energy from the elements: 0.0249 eV per atom
- VASP energy: -37.1 eV per formula unit
- N(E_F): 17.13 states/eV/cell

```
data_TmThSc4
_chemical_formula_sum 'Tm2 Th2 Sc8'
_cell_length_a 5.263
_cell_length_b 6.552
_cell_length_c 9.193
_cell_angle_alpha 90.00
_cell_angle_beta 90.00
_cell_angle_gamma 90.00
_symmetry_space_group_name_H-M 'I m m m'
_symmetry_Int_Tables_number 71
_symmetry_space_group_name_Hall '-I 2 2'
loop_
_atom_site_label
_atom_site_fract_x
_atom_site_fract_y
_atom_site_fract_z
_atom_site_occupancy
Tm1 0.000 0.000 0.000 1
Th1 0.000 0.500 0.000 1
Sc1 0.000 0.251 0.333 1
```


[2]
# Tm3ThSc5

A geometry-optimized Tm3ThSc5 structure (PBE, the Alexandria database).

Summary:
- Formation energy from the elements: 0.0718 eV per atom
- VASP energy: -51.8 eV per formula unit
- N(E_F): 18.07 states/eV/cell

```
data_Tm3ThSc5
_chemical_formula_sum 'Tm3 Th1 Sc5'
_cell_length_a 9.2429
_cell_length_b 9.2429
_cell_length_c 3.3419
_cell_angle_alpha 90.00
_cell_angle_beta 90.00
_cell_angle_gamma 120.00
_symmetry_space_group_name_H-M 'P -6 2 m'
_symmetry_Int_Tables_number 189
_symmetry_space_group_name_Hall 'P -6 -2'
loop_
_atom_site_label
_atom_site_fract_x
_atom_site_fract_y
_atom_site_fract_z
_atom_site_occupancy
Tm1 0.0000 0.3657 0.0000 1
Th1 0.0000 0.0000 0.0000 1
Sc1 0.0000 0.6859 0.5000 1
-- stop --
Job:
Now start at the top of the notes earlier on and give back each line, ending with the one that has "N(E_F): 17.13".
Response:
Density functional theory data (PBE-GGA) for a relaxed structure of Ba2LiNpO5.

The structure in extended XYZ format:
```
18
Lattice="3.577 0.000 0.000 -1.789 7.528 0.000 0.000 0.000 11.312" Properties=species:S:1:pos:R:3 pbc="T T T"
O 1.789 2.437 5.730
O 0.000 5.091 0.074
O 1.789 6.439 5.932
O 1.789 3.209 1.609
O 0.000 4.607 4.464
O 0.000 1.089 0.275
O 1.789 2.921 10.120
O 1.789 0.011 8.920
O 0.000 4.320 7.265
O 0.000 7.517 3.264
Np 0.000 3.078 0.201
Np 1.789 4.450 5.857
Li 1.789 0.840 10.636
Li 0.000 6.688 4.979
Ba 0.000 1.848 3.559
Ba 0.000 1.578 7.864
Ba 1.789 5.951 2.208
Ba 1.789 5.680 9.215
```

Properties
uncorrected energy	-7.51	eV/atom
spin magnetization	4.0	μB per cell
formation energy without anion corrections	-2.68	eV per atom
ρ	6.525	g/cm3

----------

No. 1
Here is a relaxed structure of InIF6 from the Alexandria database. Energies are from PBE-GGA.

Results
Raw formation energy ... -14.567 eV/f.u.

```
InIF6
1.0
5.057 -0.061 0.262
2.479 4.720 -0.386
2.771 1.025 5.789
F In I
6 1 1
Cartesian
4.305 1.834 1.227
1.573 0.304 1.138
6.690 3.520 1.628
8.733 5.380 4.527
3.616 2.164 4.037
6.001 3.850 4.437
0.000 0.000 0.000
5.153 2.842 2.832
```

---

No. 2
Here is a relaxed structure of Mn2SiAu2 from the Alexandria database. Energies are from PBE-GGA.

Results
Raw formation energy ... 2.256 eV/f.u.
Relative energy among the computed polymorphs ... 1.39 eV/f.u.

```
Mn2SiAu2
1.0
3.726 0.000 0.000
0.000 3.726 0.000
1.863 1.863 6.783
Mn Au Si
2 2 1
Cartesian
1.863 1.863 1.287
3.726 3.726 5.496
1.863 3.726 3.392
3.726 1.863 3.392
0.000 0.000 0.000
```

---

No. 3
Here is a relaxed structure of Y2Ga3SnPt4 from the Alexandria database. Energies are from PBE-GGA.

Results
Formation enthalpy at 0 K ... -0.922 eV per atom

```
Y2Ga3SnPt4
1.0
4.141 0.000 0.000
0.000 4.141 0.000
0.000 0.000 11.303
Pt Y Sn Ga
4 2 1 3
Cartesian
0.000 2.070 3.923
2.070 0.000 7.381
0.000 0.000 0.000
2.070 2.070 0.000
2.070 0.000 2.754
0.000 2.070 8.549
2.070 2.070 5.652
0.000 0.000 5.652
0.000 2.070 1.480
2.070 0.000 9.823
```

---

No. 4
Here is a relaxed structure of CuSeBr2 from the Alexandria database. Energies are from PBE-GGA.

Results
Raw formation energy ... -0.535 eV/f.u.
Relative energy among the computed polymorphs ... 0.13 eV/f.u.

```
CuSeBr2
1.0
-1.855 -7.374 -3.127
2.323 -4.187 -6.684
1.174 3.974 7.101
Br Cu Se
2 1 1
Cartesian
-0.275 -3.330 0.604
0.422 -10.429 -8.850
0.249 -6.161 -5.228
1.947 -5.009 -3.952
```

---

| no. | DOS(E_F) (states/eV per cell) |
| --- | --- |
| 1 | 0.00 |
| 2 | 3.65 |
| 3 | 4.34 |
| 4 | 2.55 |

----------

[1]
# TmThSc4

A geometry-optimized TmThSc4 structure (PBE, the Alexandria database).

Summary:
- Formation energy from the elements: 0.0249 eV per atom
- VASP energy: -37.1 eV per formula unit
- N(E_F): 17.13 states/eV/cell